_Entries_
=====
No. 1
17
Properties=species:S:1:pos:R:3:forces:R:3 method="wB97M-V/def2-TZVPD" energy_ev=-8428.7926 charge=0 gap_ev=9.14 smiles="C=C/C=C/C=C.O" homo_energy_ha=-0.313 e_above_lowest_kcal_mol=56.4
C 1.81605 -3.05918 0.35124 -0.1 0.7 -1.3
C 1.26054 -2.56901 1.46539 -0.1 -0.9 0.6
C 0.77262 -1.23495 1.83713 1.6 1.1 -0.6
C 0.06362 -0.48787 0.98380 -1.8 -0.4 -0.3
C -0.63953 0.77393 1.34659 1.9 -1.1 -0.2
C -1.40700 1.41751 0.47507 -0.9 0.1 0.5
H 1.59432 -4.04532 -0.05707 0.7 -0.4 1.1
H 2.40041 -2.50440 -0.39024 -0.7 0.6 0.2
H 1.08318 -3.33719 2.22164 -0.7 0.0 -0.1
H 1.07676 -0.72398 2.75633 -0.1 -0.6 0.1
H -0.35024 -0.97884 0.09988 0.5 0.2 -0.2
H -0.28871 1.02246 2.34914 -0.9 0.9 0.0
H -1.59977 1.01543 -0.51250 0.2 -0.2 0.0
H -2.05790 2.25314 0.72084 0.5 0.1 0.2
O -1.45410 3.84436 -4.59867 -0.8 -0.7 0.1
H -1.63703 4.57968 -4.02552 -0.1 0.5 0.3
H -0.63323 4.03424 -5.02304 0.9 0.3 -0.4

---

No. 2
17
Properties=species:S:1:pos:R:3:forces:R:3 method="wB97M-V/def2-TZVPD" energy_ev=-8428.4934 charge=0 gap_ev=9.80 smiles="C[C@H]1C(=O)C1(C)C" homo_energy_ha=-0.330 e_above_lowest_kcal_mol=63.3
C -1.50511 -1.49128 0.37964 0.9 -1.2 -1.0
C -0.87378 -0.55924 -0.74773 -0.2 1.0 5.6
C -0.95851 0.88922 -0.60017 -0.2 1.9 -0.2
O -1.74382 1.83374 -0.57752 1.7 -2.1 0.1
C 0.48713 0.56048 -0.21106 -2.9 -1.3 0.7
C 1.65100 0.34124 -1.10661 0.9 1.7 -1.9
C 0.69970 0.81946 1.33683 -1.7 1.1 -1.3
H -0.71501 -2.21035 0.82095 -1.1 1.0 -1.0
H -2.35508 -2.13098 -0.03008 1.1 0.9 0.5
H -1.86520 -0.95881 1.23964 -0.3 0.5 0.2
H -0.96228 -0.97607 -1.68327 0.9 -0.7 -2.3
H 2.56089 0.26262 -0.52560 0.1 -0.4 0.3
H 1.90553 1.26964 -1.77381 -0.7 -1.7 0.8
H 1.50090 -0.58282 -1.70260 0.5 0.9 0.1
H 0.87545 1.90277 1.49791 -0.5 -0.2 -0.5
H 1.56090 0.43324 1.82696 0.6 -1.3 0.0
H -0.26270 0.59713 1.85651 1.0 0.0 -0.1

---

No. 3
17
Properties=species:S:1:pos:R:3:forces:R:3 method="wB97M-V/def2-TZVPD" energy_ev=-8430.6235 charge=0 gap_ev=10.77 smiles=C[C@H]1OC[C@H]2C[C@H]21 homo_energy_ha=-0.354 e_above_lowest_kcal_mol=14.2
C 1.34107 -1.20888 1.08876 0.0 0.0 0.0
C 0.80670 -0.57728 -0.18951 0.2 0.1 0.1
O -0.38910 -1.25426 -0.57834 0.0 -0.1 0.1
C -1.23763 -0.34985 -1.26118 -0.2 0.1 0.0
C -0.95162 1.01227 -0.67861 0.0 0.1 -0.1
C -0.76050 1.18305 0.80537 -0.1 0.0 0.1
C 0.41839 0.89160 -0.07586 0.2 0.0 0.0
H 1.53604 -2.27607 0.94503 0.0 0.2 0.0
H 0.62737 -1.09921 1.91259 0.1 0.0 -0.2
H 2.27884 -0.72420 1.38413 -0.1 -0.1 -0.1
H 1.56119 -0.68337 -0.98573 -0.1 0.0 0.1
H -1.00724 -0.25853 -2.33554 0.1 -0.4 0.1
H -2.25987 -0.73015 -1.16874 0.1 0.1 0.1
H -1.22632 1.83489 -1.32782 0.1 0.2 0.3
H -1.08706 0.40420 1.49358 0.0 0.1 -0.3
H -0.83060 2.18903 1.21483 -0.1 -0.2 -0.2
H 1.18035 1.64677 -0.24297 -0.1 -0.1 0.1

---

No. 4
17
Properties=species:S:1:pos:R:3:forces:R:3 method="wB97M-V/def2-TZVPD" energy_ev=-8426.7759 charge=0 gap_ev=9.37 homo_energy_ha=-0.309 e_above_lowest_kcal_mol=103.0
C 2.07495 0.51627 -1.27060 -0.3 0.1 -0.5
C -0.05589 0.09043 0.59634 -0.7 0.0 0.1
C 0.00988 -1.40055 0.56526 0.2 -0.1 0.1
C -1.41841 -1.19986 -0.07089 -0.3 -0.5 -0.1
C -1.15133 0.32523 -0.14698 0.2 0.0 0.2
C -1.31751 1.47802 0.83375 -0.3 0.4 0.3
O -0.00416 1.14202 1.45387 0.2 0.1 0.1
H 2.59983 0.49557 -0.31511 -0.1 0.0 0.0
H 2.36919 -0.33401 -1.89082 0.1 0.1 0.1
H 2.30527 1.44264 -1.80026 0.2 -0.1 0.1
H 0.78881 -1.78338 -0.09670 -0.1 -0.1 0.1
H 0.06051 -1.90017 1.53490 -0.1 0.0 -0.1
H -2.19354 -1.43920 0.66239 0.1 -0.1 0.0
H -1.64523 -1.72969 -1.00110 0.1 0.2 0.1
H 0.98530 0.49165 -1.12468 0.9 0.0 -0.3
H -2.09475 1.28535 1.57322 0.0 0.1 0.0
H -1.31292 2.51968 0.49741 -0.1 -0.2 0.0

---

Copy entry 3 word for word.
17
Properties=species:S:1:pos:R:3:forces:R:3 method="wB97M-V/def2-TZVPD" energy_ev=-8430.6235 charge=0 gap_ev=10.77 smiles=C[C@H]1OC[C@H]2C[C@H]21 homo_energy_ha=-0.354 e_above_lowest_kcal_mol=14.2
C 1.34107 -1.20888 1.08876 0.0 0.0 0.0
C 0.80670 -0.57728 -0.18951 0.2 0.1 0.1
O -0.38910 -1.25426 -0.57834 0.0 -0.1 0.1
C -1.23763 -0.34985 -1.26118 -0.2 0.1 0.0
C -0.95162 1.01227 -0.67861 0.0 0.1 -0.1
=====

_Request_
It remains to print only the lines earlier on with the word "word" in them.

_Written answer_
Copy entry 3 word for word.